Your job: repeat the calculation results below from the line with "-0.8833 0.2482" to the end without altering anything.

'''
A molecular structure, C44H46BFO7S in a non-equilibrium geometry. Source: OMol25; level of theory: wB97M-V/def2-TZVPD.

Properties
Kohn-Sham gap, eV: 9.124
LUMO energy, eV: -0.055
Total charge: 0
ΔE to the lowest compared entry with this formula, charge and spin, kcal per mole: 18.5
HOMO, Eh: -0.33733
Calculated total energy, eV: -74936.6339

Structure (XYZ):
```
100
Properties=species:S:1:pos:R:3:mulliken_charge:R:1
S -2.8691 0.3326 -3.6619 1.3023
F -1.4174 3.5229 -2.9962 -0.2925
O -2.9486 -0.4751 -4.7916 -0.5598
O -1.4318 0.0358 -2.9532 -0.4087
O -0.8962 0.8015 0.6762 -0.5271
O -2.5589 1.8759 -4.0924 -0.2967
O -0.1213 1.4425 -1.5021 -0.4264
O -0.9545 3.1118 0.0816 -0.5056
O -3.9191 0.2085 -2.7528 -0.5973
C -3.8843 -1.9300 4.3975 -0.1117
C -8.0450 -3.7556 1.3274 -0.4247
C 3.6273 2.8506 4.0424 -0.5062
C 1.9547 2.4101 5.7126 -0.4545
C 10.4925 -0.2673 1.7952 -0.2458
C -2.0211 -1.5244 2.9334 -0.7394
C -5.2800 -2.5290 -5.6243 -0.1303
C -6.7968 -4.3149 1.0917 -0.4708
C -3.1031 -2.3065 3.3138 -0.1361
C 10.1488 0.7269 2.7006 0.0315
C 7.1986 -0.3817 6.0533 -0.3195
C -1.7223 -0.3638 3.6338 0.3848
C -1.7615 2.6736 -7.2476 0.0395
C -1.8760 4.0475 -7.0859 -0.3461
C 11.6505 -0.1491 1.0391 -0.4666
C -6.0952 -3.5892 -5.2509 -0.5770
C 5.1234 -0.0810 4.8765 -0.2813
C -7.0920 -4.0347 -6.1084 -0.3067
C -1.6704 4.8927 -8.1674 -0.4547
C -6.4507 -2.3689 -7.7185 -0.4025
C 3.2316 2.8336 5.3728 -0.4827
C -1.1674 1.3129 -2.3686 -0.5242
C -7.2689 -3.4256 -7.3428 -0.4148
C 7.7587 -0.9557 4.9205 -0.5010
C 7.0025 -1.0863 3.7633 -0.3060
C -2.5004 0.0098 4.7214 -0.4308
C -1.4455 2.1436 -8.4909 -0.6166
C -3.5802 -0.7744 5.1038 -0.5944
C 2.7470 2.4406 3.0517 -0.5936
C -6.4563 -4.5524 3.4600 -0.3907
C -6.0036 -4.7144 2.1579 -0.3307
C -1.3188 2.2925 -3.5252 0.5691
C 5.8807 0.0543 6.0316 -0.5079
C -1.3462 4.3633 -9.4085 -0.4231
C 1.0756 1.9939 4.7217 0.0483
C 12.1154 1.9650 2.0844 -0.3166
C -8.5014 -3.6014 2.6290 -0.3765
C 1.4721 2.0079 3.3917 0.0275
C 5.6860 -0.6472 3.7411 -0.6134
C -7.7066 -3.9978 3.6955 -0.3547
C 12.4633 0.9663 1.1854 -0.4185
C -1.2351 2.9890 -9.5709 -0.3630
C 10.9593 1.8448 2.8429 -0.5812
C -5.4596 -1.9183 -6.8571 -0.4238
B -0.6555 1.8069 -0.2397 0.8724
H -1.1804 5.0226 -10.2511 0.3612
H 0.7861 1.6819 2.6192 0.2245
H 4.6231 3.1831 3.7780 0.3786
H -2.0983 1.4961 -1.7785 0.3611
H -6.5862 -1.8959 -8.6830 0.3530
H -0.8833 0.2482 3.3319 -0.0437
H -5.0303 -5.1524 1.9737 0.4331
H -6.4425 -4.4393 0.0762 0.4229
H 11.9198 -0.9265 0.3352 0.3621
H 9.8570 -1.1367 1.6789 0.3011
H -8.0448 -3.7741 -8.0128 0.3519
H -7.7313 -4.8579 -5.8147 0.3570
H 3.9206 3.1508 6.1458 0.4440
H 12.7467 2.8379 2.1945 0.3579
H -5.9539 -4.0678 -4.2899 0.4008
H -1.4094 -1.8184 2.0891 0.4448
H -0.9844 2.5767 -10.5399 0.3640
H -0.5408 2.3125 -4.2877 0.3817
H -2.1262 4.4609 -6.1158 0.3795
H -8.6625 -3.4404 0.4959 0.3667
H 4.0957 0.2554 4.8611 0.5520
H -1.3627 1.0715 -8.6175 0.3818
H 10.6890 2.6227 3.5459 0.3646
H 3.0553 2.4565 2.0136 0.4061
H 0.0810 1.6588 4.9870 0.1067
H -5.8346 -4.8596 4.2920 0.4098
H -4.7298 -2.5383 4.6918 0.2440
H 5.4426 0.5006 6.9160 0.3951
H 5.0969 -0.7465 2.8378 0.3878
H 13.3679 1.0578 0.5975 0.3565
H 1.6443 2.4026 6.7499 0.3756
H -1.8085 3.3205 -0.3299 0.3094
H -1.9195 2.0153 -6.4038 0.3402
H -3.3385 -3.2098 2.7652 0.2765
H -8.0617 -3.8745 4.7109 0.3718
H -4.1864 -0.4837 5.9526 0.3547
H -4.5070 -2.1794 -4.9570 0.3779
H -9.4778 -3.1710 2.8125 0.3616
H -1.7621 5.9642 -8.0426 0.3573
H -4.8250 -1.0898 -7.1466 0.4363
H 7.7897 -0.2745 6.9543 0.3878
H 9.2492 0.6313 3.2939 0.2443
H 7.4402 -1.5309 2.8777 0.3542
H -1.8643 0.7140 0.6900 0.2949
H -2.2655 0.9131 5.2713 0.3634
H 8.7852 -1.3005 4.9390 0.4641
```


24 unconnected molecules or ions with the total composition C44H46BrCl69I2N3OPS in a non-equilibrium geometry. Source: OMol25; level of theory: wB97M-V/def2-TZVPD.

Properties
Kohn-Sham gap, eV: 7.630
LUMO energy, eV: -0.334
Total charge: 0
HOMO, Eh: -0.29267
Calculated total energy, eV: -1023304.9563

Structure (XYZ):
```
168
'''

H -0.8833 0.2482 3.3319 -0.0437
H -5.0303 -5.1524 1.9737 0.4331
H -6.4425 -4.4393 0.0762 0.4229
H 11.9198 -0.9265 0.3352 0.3621
H 9.8570 -1.1367 1.6789 0.3011
H -8.0448 -3.7741 -8.0128 0.3519
H -7.7313 -4.8579 -5.8147 0.3570
H 3.9206 3.1508 6.1458 0.4440
H 12.7467 2.8379 2.1945 0.3579
H -5.9539 -4.0678 -4.2899 0.4008
H -1.4094 -1.8184 2.0891 0.4448
H -0.9844 2.5767 -10.5399 0.3640
H -0.5408 2.3125 -4.2877 0.3817
H -2.1262 4.4609 -6.1158 0.3795
H -8.6625 -3.4404 0.4959 0.3667
H 4.0957 0.2554 4.8611 0.5520
H -1.3627 1.0715 -8.6175 0.3818
H 10.6890 2.6227 3.5459 0.3646
H 3.0553 2.4565 2.0136 0.4061
H 0.0810 1.6588 4.9870 0.1067
H -5.8346 -4.8596 4.2920 0.4098
H -4.7298 -2.5383 4.6918 0.2440
H 5.4426 0.5006 6.9160 0.3951
H 5.0969 -0.7465 2.8378 0.3878
H 13.3679 1.0578 0.5975 0.3565
H 1.6443 2.4026 6.7499 0.3756
H -1.8085 3.3205 -0.3299 0.3094
H -1.9195 2.0153 -6.4038 0.3402
H -3.3385 -3.2098 2.7652 0.2765
H -8.0617 -3.8745 4.7109 0.3718
H -4.1864 -0.4837 5.9526 0.3547
H -4.5070 -2.1794 -4.9570 0.3779
H -9.4778 -3.1710 2.8125 0.3616
H -1.7621 5.9642 -8.0426 0.3573
H -4.8250 -1.0898 -7.1466 0.4363
H 7.7897 -0.2745 6.9543 0.3878
H 9.2492 0.6313 3.2939 0.2443
H 7.4402 -1.5309 2.8777 0.3542
H -1.8643 0.7140 0.6900 0.2949
H -2.2655 0.9131 5.2713 0.3634
H 8.7852 -1.3005 4.9390 0.4641
```


24 unconnected molecules or ions with the total composition C44H46BrCl69I2N3OPS in a non-equilibrium geometry. Source: OMol25; level of theory: wB97M-V/def2-TZVPD.

Properties
Kohn-Sham gap, eV: 7.630
LUMO energy, eV: -0.334
Total charge: 0
HOMO, Eh: -0.29267
Calculated total energy, eV: -1023304.9563

Structure (XYZ):
```
168